Next, repeat only the lines further down with the word "occupied" in them.

=====
Here is C57H57Cl2N4OP2RuTe as an isolated structure at a distorted geometry from the Open Molecules 2025 dataset. Energies are from wB97M-V/def2-TZVPD.

For the gap between HOMO and LUMO (alpha / beta), the calculation gives 5.676 / 5.665 eV. The highest occupied orbital energy (alpha / beta) is -8.999 / -8.995 eV. As for the charge: +1.

```
125
Properties=species:S:1:pos:R:3:forces:R:3:lowdin_charge:R:1
Ru -0.1782 0.1235 0.3556 1.00 -0.30 -0.67 0.722
C -1.3606 -1.9641 -2.4716 0.17 -0.02 -0.25 0.132
P 1.6361 -0.8781 -0.7446 0.73 -0.26 -0.26 0.729
C 1.8046 -0.4051 -2.5285 -0.29 0.22 0.12 -0.414
C 1.0363 0.6596 -3.0133 0.08 -0.14 -0.07 -0.123
C 1.1773 1.1075 -4.3167 -0.01 -0.01 0.02 -0.077
C 2.0904 0.4904 -5.1640 0.03 -0.01 -0.01 -0.080
C 2.8766 -0.5477 -4.6899 0.00 -0.04 0.06 -0.070
C 2.7349 -0.9926 -3.3788 -0.03 -0.06 0.00 -0.087
C 2.8754 -2.5178 1.9085 0.12 0.01 -0.03 -0.406
C 3.3605 -1.4354 2.6384 -0.05 -0.01 -0.06 -0.161
C 3.1015 -1.3449 4.0015 -0.07 -0.05 0.01 -0.090
C 2.3671 -2.3353 4.6363 0.04 0.00 -0.07 -0.072
C 1.8729 -3.4072 3.8994 -0.06 0.05 0.03 -0.078
C 2.1161 -3.4973 2.5370 -0.07 -0.07 -0.15 -0.117
C -2.2387 -1.3719 -1.6742 -0.01 0.17 -0.02 -0.347
C -3.6870 -1.5782 -1.6588 0.29 -0.13 0.00 0.005
C -4.2078 -0.5710 -0.9529 -0.08 0.48 0.11 0.011
C -3.0837 0.2450 -0.4838 -0.42 0.23 -0.27 -0.325
C -3.1904 1.5201 0.2699 0.09 -0.14 0.16 -0.224
P -1.5539 1.8946 1.0514 0.20 0.21 0.14 0.934
C -2.1234 2.6994 2.5903 -0.13 0.01 -0.09 -0.366
C -2.6285 4.0019 2.5827 0.02 -0.04 0.07 -0.079
C -3.2119 4.5325 3.7240 0.01 -0.02 -0.03 -0.060
C -3.3075 3.7685 4.8808 0.01 0.02 0.00 -0.068
C -2.8108 2.4740 4.8976 0.02 -0.03 -0.02 -0.073
C -2.2299 1.9415 3.7529 -0.01 0.02 0.01 -0.119
C -0.8717 3.2681 0.0672 -0.13 0.04 0.01 -0.373
C -0.0391 4.2187 0.6602 -0.05 -0.01 -0.07 -0.121
C 0.5693 5.1933 -0.1159 -0.02 -0.02 0.00 -0.069
C 0.3631 5.2228 -1.4894 0.01 0.03 0.03 -0.066
C -0.4483 4.2714 -2.0881 -0.01 -0.07 -0.01 -0.071
C -1.0607 3.2943 -1.3144 0.01 0.07 0.04 -0.113
N -1.9297 -0.2355 -0.8526 -0.13 -0.84 0.56 -0.010
H -1.6753 -2.7676 -3.1275 0.02 0.04 0.05 0.096
H -0.3436 -1.5966 -2.5360 0.00 -0.15 0.03 0.038
H 0.3199 1.1365 -2.3549 -0.01 0.07 0.03 0.062
H 0.5878 1.9438 -4.6740 -0.04 -0.05 0.01 0.100
H 2.1889 0.8212 -6.1905 0.04 0.03 0.04 0.105
H 3.6159 -1.0075 -5.3337 -0.03 -0.02 -0.01 0.106
H 3.3627 -1.8013 -3.0247 -0.03 0.01 -0.02 0.076
H 3.9517 -0.6635 2.1554 -0.01 0.00 0.01 0.094
H 3.4971 -0.5072 4.5647 0.00 -0.02 -0.03 0.109
H 2.1930 -2.2870 5.7039 0.01 0.00 0.00 0.110
H 1.3178 -4.1963 4.3938 -0.02 0.04 -0.02 0.112
H 1.7277 -4.3471 1.9893 0.07 0.01 0.05 0.090
H -4.2082 -2.3748 -2.1684 0.07 0.05 -0.06 0.124
H -5.2505 -0.3500 -0.7805 0.05 0.01 0.06 0.119
H -3.9500 1.4440 1.0491 -0.03 0.01 0.00 0.104
H -3.4952 2.3264 -0.4031 -0.08 -0.02 -0.01 0.107
H -2.5756 4.5973 1.6794 0.02 0.02 0.03 0.111
H -3.6016 5.5425 3.7084 0.00 -0.03 -0.01 0.112
H -3.7840 4.1782 5.7624 0.06 0.01 0.00 0.111
H -2.8803 1.8755 5.7976 -0.03 0.00 -0.02 0.109
H -1.8858 0.9157 3.7511 0.03 0.03 0.04 0.071
H 0.1275 4.1985 1.7310 0.02 0.01 -0.01 0.105
H 1.2106 5.9299 0.3517 -0.02 -0.02 0.00 0.114
H 0.8321 5.9913 -2.0902 0.01 -0.03 0.00 0.110
H -0.6038 4.2863 -3.1598 -0.01 0.01 0.03 0.108
H -1.6880 2.5494 -1.7931 0.02 0.01 -0.03 0.096
Cl 2.5686 3.0535 4.7890 0.04 0.02 0.05 0.544
C 1.2836 1.8944 4.4430 0.16 0.01 -0.13 -0.965
Cl 1.3659 1.3350 2.7510 0.09 0.28 0.70 0.597
H 0.3312 2.3846 4.6044 -0.06 -0.03 -0.02 0.008
H 1.4147 1.0338 5.0897 -0.03 -0.01 0.03 0.019
N -2.8829 -5.3952 4.6827 -0.01 -0.03 0.02 0.188
C -2.4277 -4.5634 4.0364 0.11 0.23 -0.17 -0.156
C -1.8475 -3.5162 3.2246 -0.16 -0.24 0.21 -0.209
C -1.7120 -3.6774 1.8541 0.04 -0.02 -0.13 0.020
C -1.1546 -2.6472 1.1192 0.01 -0.29 0.08 -0.117
N -0.7301 -1.5072 1.6729 -0.46 0.67 -1.00 -0.042
C -0.8454 -1.3695 2.9916 0.15 0.00 0.33 -0.133
C -1.4057 -2.3382 3.8050 0.12 0.09 0.00 0.008
H -2.0454 -4.5835 1.3674 0.03 0.02 -0.03 0.131
H -1.0430 -2.7304 0.0496 0.02 0.03 0.04 0.072
=====

For the gap between HOMO and LUMO (alpha / beta), the calculation gives 5.676 / 5.665 eV. The highest occupied orbital energy (alpha / beta) is -8.999 / -8.995 eV. As for the charge: +1.